File =
Computed, not measured: an optimized crystal structure of Ba2Si3Ge5O18 at the PBE level of DFT.

The magnetization is 0.001 μB/f.u. For the MP2020-corrected energy, the calculation gives -208.04 eV per cell. The value obtained for the energy of formation is -2.71 eV per atom. For the total DFT energy (no corrections), the calculation gives -6.988 eV per atom.

Unit cell a=6.7719 b=6.7719 c=9.8603 alpha=90.00 beta=90.00 gamma=120.00
Space group P-6 (No. 174)
One atom of each set of equivalent atoms:
Ba  0.0000  0.0000  0.2487 [2 per cell]
Si  0.4575  0.4151  0.0000 [3 per cell]
Ge  0.3333  0.6667  0.2417 [2 per cell]
Ge  0.4521  0.0239  0.5000 [3 per cell]
O  0.0971  0.6664  0.1372 [6 per cell]
O  0.1153  0.4232  0.3517 [6 per cell]
O  0.3829  0.2488  0.5000 [3 per cell]
O  0.4106  0.1480  0.0000 [3 per cell]


No. 1
Compound: MgTiNb2Pb4O12
Source: the Materials Project database
Functional: PBE
Structure: optimized geometry

```
data_MgTiNb2Pb4O12
_space_group_name_H-M_alt 'P 1'
_space_group_IT_number 1
_cell_length_a 8.060
_cell_length_b 8.302
_cell_length_c 9.980
_cell_angle_alpha 113.71
_cell_angle_beta 113.75
_cell_angle_gamma 89.85
loop_
_space_group_symop_operation_xyz
'x,y,z'
loop_
_atom_site_label
_atom_site_fract_x
_atom_site_fract_y
_atom_site_fract_z
Mg1 0.389 0.890 0.262
Mg2 0.137 0.138 0.758
Ti1 0.879 0.376 0.252
Ti2 0.631 0.628 0.757
Nb1 0.383 0.392 0.258
Nb2 0.886 0.878 0.257
Nb3 0.130 0.644 0.754
Nb4 0.638 0.128 0.760
Pb1 0.018 0.975 0.998
Pb2 0.000 0.480 0.981
Pb3 0.483 0.976 0.995
Pb4 0.486 0.482 0.981
Pb5 0.738 0.732 0.486
Pb6 0.753 0.222 0.488
Pb7 0.252 0.735 0.490
Pb8 0.241 0.221 0.490
O1 0.273 0.292 0.028
O2 0.265 0.790 0.011
O3 0.408 0.656 0.294
O4 0.403 0.173 0.284
O5 0.654 0.418 0.283
O6 0.649 0.921 0.271
O7 0.892 0.178 0.784
O8 0.892 0.661 0.773
O9 0.774 0.295 0.029
O10 0.769 0.791 0.017
O11 0.020 0.537 0.517
O12 0.896 0.658 0.274
O13 0.013 0.039 0.506
O14 0.150 0.898 0.774
O15 0.894 0.167 0.271
O16 0.151 0.420 0.782
O17 0.146 0.418 0.281
O18 0.137 0.921 0.269
O19 0.408 0.178 0.784
O20 0.400 0.660 0.773
O21 0.527 0.543 0.532
O22 0.646 0.908 0.774
O23 0.523 0.042 0.528
O24 0.651 0.421 0.784
```

Values from the calculation:
energy of formation = -50.36 eV/f.u.
SG = P1 (1)
ρ = 7.7 g/cm³


No. 2
Compound: Pr2MgNb2O8
Source: the Materials Project database
Functional: PBE
Structure: optimized geometry

```
data_Pr2MgNb2O8
_space_group_name_H-M_alt 'P 1'
_space_group_IT_number 1
_cell_length_a 5.508
_cell_length_b 5.719
_cell_length_c 6.664
_cell_angle_alpha 114.41
_cell_angle_beta 102.02
_cell_angle_gamma 100.39
loop_
_space_group_symop_operation_xyz
'x,y,z'
loop_
_atom_site_label
_atom_site_fract_x
_atom_site_fract_y
_atom_site_fract_z
Pr1 0.847 0.116 0.723
Pr2 0.120 0.829 0.225
Mg1 0.416 0.275 0.885
Nb1 0.349 0.594 0.636
Nb2 0.646 0.382 0.354
O1 0.339 0.143 0.113
O2 0.776 0.433 0.091
O3 0.659 0.828 0.870
O4 0.204 0.514 0.893
O5 0.498 0.711 0.408
O6 0.957 0.251 0.427
O7 0.487 0.252 0.584
O8 0.102 0.828 0.597
```

Values from the calculation:
energy of formation = -40.72 eV/f.u.
SG = P1 (1)
ρ = 5.8 g/cm³


No. 3
Compound: Rb3MgNb5O15
Source: the Materials Project database
Functional: PBE
Structure: optimized geometry

```
data_Rb3MgNb5O15
_space_group_name_H-M_alt 'P 1'
_space_group_IT_number 1
_cell_length_a 6.639
_cell_length_b 19.658
_cell_length_c 11.716
_cell_angle_alpha 90.00
_cell_angle_beta 90.00
_cell_angle_gamma 90.00
loop_
_space_group_symop_operation_xyz
'x,y,z'
loop_
_atom_site_label
_atom_site_fract_x
_atom_site_fract_y
_atom_site_fract_z
Rb1 0.704 0.302 0.248
Rb2 0.709 0.308 0.593
Rb3 0.709 0.307 0.910
Rb4 0.209 0.192 0.240
Rb5 0.204 0.198 0.585
Rb6 0.209 0.193 0.924
Rb7 0.291 0.692 0.093
Rb8 0.291 0.693 0.410
Rb9 0.296 0.698 0.748
Rb10 0.796 0.802 0.085
Rb11 0.791 0.807 0.424
Rb12 0.791 0.808 0.740
Mg1 0.195 0.535 0.250
Mg2 0.695 0.965 0.583
Mg3 0.805 0.465 0.750
Mg4 0.305 0.035 0.083
Nb1 0.730 0.615 0.250
Nb2 0.738 0.607 0.585
Nb3 0.738 0.607 0.915
Nb4 0.238 0.893 0.248

Brief =
The reader should print only the last part of the material further up, starting with the line that has "Ti1 0.879".

Result =
Ti1 0.879 0.376 0.252
Ti2 0.631 0.628 0.757
Nb1 0.383 0.392 0.258
Nb2 0.886 0.878 0.257
Nb3 0.130 0.644 0.754
Nb4 0.638 0.128 0.760
Pb1 0.018 0.975 0.998
Pb2 0.000 0.480 0.981
Pb3 0.483 0.976 0.995
Pb4 0.486 0.482 0.981
Pb5 0.738 0.732 0.486
Pb6 0.753 0.222 0.488
Pb7 0.252 0.735 0.490
Pb8 0.241 0.221 0.490
O1 0.273 0.292 0.028
O2 0.265 0.790 0.011
O3 0.408 0.656 0.294
O4 0.403 0.173 0.284
O5 0.654 0.418 0.283
O6 0.649 0.921 0.271
O7 0.892 0.178 0.784
O8 0.892 0.661 0.773
O9 0.774 0.295 0.029
O10 0.769 0.791 0.017
O11 0.020 0.537 0.517
O12 0.896 0.658 0.274
O13 0.013 0.039 0.506
O14 0.150 0.898 0.774
O15 0.894 0.167 0.271
O16 0.151 0.420 0.782
O17 0.146 0.418 0.281
O18 0.137 0.921 0.269
O19 0.408 0.178 0.784
O20 0.400 0.660 0.773
O21 0.527 0.543 0.532
O22 0.646 0.908 0.774
O23 0.523 0.042 0.528
O24 0.651 0.421 0.784
```

Values from the calculation:
energy of formation = -50.36 eV/f.u.
SG = P1 (1)
ρ = 7.7 g/cm³


No. 2
Compound: Pr2MgNb2O8
Source: the Materials Project database
Functional: PBE
Structure: optimized geometry

```
data_Pr2MgNb2O8
_space_group_name_H-M_alt 'P 1'
_space_group_IT_number 1
_cell_length_a 5.508
_cell_length_b 5.719
_cell_length_c 6.664
_cell_angle_alpha 114.41
_cell_angle_beta 102.02
_cell_angle_gamma 100.39
loop_
_space_group_symop_operation_xyz
'x,y,z'
loop_
_atom_site_label
_atom_site_fract_x
_atom_site_fract_y
_atom_site_fract_z
Pr1 0.847 0.116 0.723
Pr2 0.120 0.829 0.225
Mg1 0.416 0.275 0.885
Nb1 0.349 0.594 0.636
Nb2 0.646 0.382 0.354
O1 0.339 0.143 0.113
O2 0.776 0.433 0.091
O3 0.659 0.828 0.870
O4 0.204 0.514 0.893
O5 0.498 0.711 0.408
O6 0.957 0.251 0.427
O7 0.487 0.252 0.584
O8 0.102 0.828 0.597
```

Values from the calculation:
energy of formation = -40.72 eV/f.u.
SG = P1 (1)
ρ = 5.8 g/cm³


No. 3
Compound: Rb3MgNb5O15
Source: the Materials Project database
Functional: PBE
Structure: optimized geometry

```
data_Rb3MgNb5O15
_space_group_name_H-M_alt 'P 1'
_space_group_IT_number 1
_cell_length_a 6.639
_cell_length_b 19.658
_cell_length_c 11.716
_cell_angle_alpha 90.00
_cell_angle_beta 90.00
_cell_angle_gamma 90.00
loop_
_space_group_symop_operation_xyz
'x,y,z'
loop_
_atom_site_label
_atom_site_fract_x
_atom_site_fract_y
_atom_site_fract_z
Rb1 0.704 0.302 0.248
Rb2 0.709 0.308 0.593
Rb3 0.709 0.307 0.910
Rb4 0.209 0.192 0.240
Rb5 0.204 0.198 0.585
Rb6 0.209 0.193 0.924
Rb7 0.291 0.692 0.093
Rb8 0.291 0.693 0.410
Rb9 0.296 0.698 0.748
Rb10 0.796 0.802 0.085
Rb11 0.791 0.807 0.424
Rb12 0.791 0.808 0.740
Mg1 0.195 0.535 0.250
Mg2 0.695 0.965 0.583
Mg3 0.805 0.465 0.750
Mg4 0.305 0.035 0.083
Nb1 0.730 0.615 0.250
Nb2 0.738 0.607 0.585
Nb3 0.738 0.607 0.915
Nb4 0.238 0.893 0.248